**Assignment:**
Your job: copy all of the rows further down without additions.

**Material:**
=====
No. 1
Computed, not measured: a cluster of 2 separate species, C3H5NO2 in total, with ωB97M-V with the def2-TZVPD basis set.

Geometry as XYZ:
```
11
Properties=species:S:1:pos:R:3:forces:R:3:nbo_charge:R:1
H 1.54800 -2.02786 1.57936 0.114 -0.067 -0.149 0.3709
N 0.75281 -1.41567 1.42826 0.220 0.056 -0.348 -0.6728
C 0.72702 -0.86426 0.31042 -0.204 -0.083 0.575 0.5337
O 1.35286 -0.73649 -0.88168 -0.169 0.042 -0.066 -0.4604
C 0.08752 0.01017 -0.60016 0.246 0.095 -0.182 0.3763
C -0.33753 1.28751 -1.11315 0.124 0.206 -0.024 -0.1170
O -0.99722 0.01560 -1.40545 0.101 -0.242 -0.159 -0.4292
H -0.94288 1.99813 -0.55201 0.232 -0.254 0.066 0.2078
H 0.25331 1.68235 -1.93536 -0.171 0.018 -0.005 0.2033
H -0.99274 -0.21622 1.75176 -0.299 0.177 0.126 0.0387
H -1.45114 0.26673 1.41801 -0.193 0.051 0.166 -0.0512
```
Positions in Å, forces in eV/Å.

**Calculated total energy**: -8772.81156 eV
**HOMO-LUMO gap**: 11.7 eV
**Highest occupied orbital energy**: -10.7 eV

***

No. 2
Computed, not measured: a structure of composition C3H5NO2 at a distorted geometry, with ωB97M-V with the def2-TZVPD basis set.

Geometry as XYZ:
```
11
Properties=species:S:1:pos:R:3:forces:R:3:nbo_charge:R:1
N -1.78357 -0.37726 -0.19751 -0.132 -0.261 -0.126 -0.7760
C -0.70383 0.35138 0.09165 -0.461 1.022 -0.462 0.6515
O -0.71817 1.60463 0.13587 -1.213 -0.317 -0.369 -0.6486
C 0.63316 -0.17305 0.42276 0.118 1.476 0.750 -0.6790
C 1.62093 -0.08402 -0.68093 0.182 0.000 -0.240 0.4211
O 2.62080 -0.75580 -0.78509 -0.410 0.130 0.179 -0.5359
H -1.71418 -1.36736 -0.34720 0.027 -0.008 0.045 0.4048
H -2.67605 0.06702 -0.35369 0.205 0.068 0.026 0.4143
H 0.71359 -1.10199 1.00256 0.065 0.563 0.105 0.2453
H 0.57264 1.13734 0.81594 1.592 -2.667 0.137 0.3893
H 1.40017 0.71857 -1.41197 0.026 -0.006 -0.044 0.1130
```
Positions in Å, forces in eV/Å.

**Calculated total energy**: -8775.32411 eV
**HOMO-LUMO gap**: 10.1 eV
**Highest occupied orbital energy**: -9.6 eV

***

- The lowest calculated total energy belongs to which entry?
  number 2

***

- Among the records above, which one has the highest HOMO-LUMO gap?
  number 1


No. 1
{
  "formula": "C7H13O",
  "method": "ωB97M-V with the def2-TZVPD basis set",
  "de_lowest_ev": 1.858,
  "smiles": "C/C=C(\\C)CCC[O-]",
  "charge": -1,
  "homo_lumo_gap_ev": 5.269,
  "homo_ev": -1.98,
  "mol_weight_g_mol": 113.18,
  "largest_force_ha_per_bohr": 0.127,
  "total_energy_ha": -349.653535,
  "species": ["C", "C", "C", "C", "C", "C", "C", "O", "H", "H", "H", "H", "H", "H", "H", "H", "H", "H", "H", "H", "H"],
  "coordinates": [[3.027766, 0.290771, -0.730176], [1.793910, -0.207994, -0.147108], [0.565090, 0.381104, -0.045039], [0.347719, 1.804941, -0.606865], [-0.626169, -0.150702, 0.807915], [-1.829553, -0.462002, 0.064241], [-2.599165, -1.754955, 0.729635], [-3.878524, -1.888964, 0.355931], [4.023687, -0.157105, -0.392116], [3.212307, 0.389584, -1.767973], [3.214938, 1.319754, -0.409868], [2.041720, -1.031533, 0.447742], [0.947233, 2.088017, -1.518706], [0.447831, 2.445687, 0.156515], [-0.751163, 1.869221, -0.880983], [-0.219003, -1.046405, 1.372351], [-0.985512, 0.689956, 1.468857], [-1.540136, -0.828013, -0.951987], [-2.514550, 0.336919, -0.258773], [-2.582053, -1.505142, 1.780085], [-2.096376, -2.583141, 0.526319]],
  "forces_ev_per_angstrom": [[3.2, 1.8, 0.6], [-2.4, 0.6, 0.5], [1.3, 0.5, 0.2], [-1.8, -3.3, -3.7], [2.6, 1.4, 0.9], [-1.5, -3.0, -3.0], [-3.7, 5.4, -0.2], [-0.5, -0.1, -0.6], [-1.6, -0.2, 0.0], [-0.6, -0.3, -1.5], [-0.2, 0.4, 0.1], [-0.6, -1.7, 0.8], [-0.4, -0.3, 1.1], [0.8, 2.7, 2.8], [1.2, 0.0, 0.0], [-0.7, 1.0, -0.3], [1.1, -0.8, 0.2], [0.0, -0.1, 0.4], [0.0, 0.0, 1.1], [0.7, 0.0, 1.5], [3.3, -3.8, -0.9]]
}



No. 2
{
  "formula": "C3H26N2O10",
  "method": "ωB97M-V with the def2-TZVPD basis set",
  "de_lowest_ev": 0.000,
  "smiles": "CCNC(N)=O.O.O.O.O.O.O.O.O.O",
  "homo_lumo_gap_ev": 10.312,
  "homo_ev": -10.06,
  "mol_weight_g_mol": 250.24,
  "largest_force_ha_per_bohr": 0.020,
  "total_energy_ha": -991.918689,
=====

**Outcome:**
No. 1
Computed, not measured: a cluster of 2 separate species, C3H5NO2 in total, with ωB97M-V with the def2-TZVPD basis set.

Geometry as XYZ:
```
11
Properties=species:S:1:pos:R:3:forces:R:3:nbo_charge:R:1
H 1.54800 -2.02786 1.57936 0.114 -0.067 -0.149 0.3709
N 0.75281 -1.41567 1.42826 0.220 0.056 -0.348 -0.6728
C 0.72702 -0.86426 0.31042 -0.204 -0.083 0.575 0.5337
O 1.35286 -0.73649 -0.88168 -0.169 0.042 -0.066 -0.4604
C 0.08752 0.01017 -0.60016 0.246 0.095 -0.182 0.3763
C -0.33753 1.28751 -1.11315 0.124 0.206 -0.024 -0.1170
O -0.99722 0.01560 -1.40545 0.101 -0.242 -0.159 -0.4292
H -0.94288 1.99813 -0.55201 0.232 -0.254 0.066 0.2078
H 0.25331 1.68235 -1.93536 -0.171 0.018 -0.005 0.2033
H -0.99274 -0.21622 1.75176 -0.299 0.177 0.126 0.0387
H -1.45114 0.26673 1.41801 -0.193 0.051 0.166 -0.0512
```
Positions in Å, forces in eV/Å.

**Calculated total energy**: -8772.81156 eV
**HOMO-LUMO gap**: 11.7 eV
**Highest occupied orbital energy**: -10.7 eV

***

No. 2
Computed, not measured: a structure of composition C3H5NO2 at a distorted geometry, with ωB97M-V with the def2-TZVPD basis set.

Geometry as XYZ:
```
11
Properties=species:S:1:pos:R:3:forces:R:3:nbo_charge:R:1
N -1.78357 -0.37726 -0.19751 -0.132 -0.261 -0.126 -0.7760
C -0.70383 0.35138 0.09165 -0.461 1.022 -0.462 0.6515
O -0.71817 1.60463 0.13587 -1.213 -0.317 -0.369 -0.6486
C 0.63316 -0.17305 0.42276 0.118 1.476 0.750 -0.6790
C 1.62093 -0.08402 -0.68093 0.182 0.000 -0.240 0.4211
O 2.62080 -0.75580 -0.78509 -0.410 0.130 0.179 -0.5359
H -1.71418 -1.36736 -0.34720 0.027 -0.008 0.045 0.4048
H -2.67605 0.06702 -0.35369 0.205 0.068 0.026 0.4143
H 0.71359 -1.10199 1.00256 0.065 0.563 0.105 0.2453
H 0.57264 1.13734 0.81594 1.592 -2.667 0.137 0.3893
H 1.40017 0.71857 -1.41197 0.026 -0.006 -0.044 0.1130
```
Positions in Å, forces in eV/Å.

**Calculated total energy**: -8775.32411 eV
**HOMO-LUMO gap**: 10.1 eV
**Highest occupied orbital energy**: -9.6 eV

***

- The lowest calculated total energy belongs to which entry?
  number 2

***

- Among the records above, which one has the highest HOMO-LUMO gap?
  number 1


No. 1
{
  "formula": "C7H13O",
  "method": "ωB97M-V with the def2-TZVPD basis set",
  "de_lowest_ev": 1.858,
  "smiles": "C/C=C(\\C)CCC[O-]",
  "charge": -1,
  "homo_lumo_gap_ev": 5.269,
  "homo_ev": -1.98,
  "mol_weight_g_mol": 113.18,
  "largest_force_ha_per_bohr": 0.127,
  "total_energy_ha": -349.653535,
  "species": ["C", "C", "C", "C", "C", "C", "C", "O", "H", "H", "H", "H", "H", "H", "H", "H", "H", "H", "H", "H", "H"],
  "coordinates": [[3.027766, 0.290771, -0.730176], [1.793910, -0.207994, -0.147108], [0.565090, 0.381104, -0.045039], [0.347719, 1.804941, -0.606865], [-0.626169, -0.150702, 0.807915], [-1.829553, -0.462002, 0.064241], [-2.599165, -1.754955, 0.729635], [-3.878524, -1.888964, 0.355931], [4.023687, -0.157105, -0.392116], [3.212307, 0.389584, -1.767973], [3.214938, 1.319754, -0.409868], [2.041720, -1.031533, 0.447742], [0.947233, 2.088017, -1.518706], [0.447831, 2.445687, 0.156515], [-0.751163, 1.869221, -0.880983], [-0.219003, -1.046405, 1.372351], [-0.985512, 0.689956, 1.468857], [-1.540136, -0.828013, -0.951987], [-2.514550, 0.336919, -0.258773], [-2.582053, -1.505142, 1.780085], [-2.096376, -2.583141, 0.526319]],
  "forces_ev_per_angstrom": [[3.2, 1.8, 0.6], [-2.4, 0.6, 0.5], [1.3, 0.5, 0.2], [-1.8, -3.3, -3.7], [2.6, 1.4, 0.9], [-1.5, -3.0, -3.0], [-3.7, 5.4, -0.2], [-0.5, -0.1, -0.6], [-1.6, -0.2, 0.0], [-0.6, -0.3, -1.5], [-0.2, 0.4, 0.1], [-0.6, -1.7, 0.8], [-0.4, -0.3, 1.1], [0.8, 2.7, 2.8], [1.2, 0.0, 0.0], [-0.7, 1.0, -0.3], [1.1, -0.8, 0.2], [0.0, -0.1, 0.4], [0.0, 0.0, 1.1], [0.7, 0.0, 1.5], [3.3, -3.8, -0.9]]
}



No. 2
{
  "formula": "C3H26N2O10",
  "method": "ωB97M-V with the def2-TZVPD basis set",
  "de_lowest_ev": 0.000,
  "smiles": "CCNC(N)=O.O.O.O.O.O.O.O.O.O",
  "homo_lumo_gap_ev": 10.312,
  "homo_ev": -10.06,
  "mol_weight_g_mol": 250.24,
  "largest_force_ha_per_bohr": 0.020,
  "total_energy_ha": -991.918689,